A RELATIVE of a Bradford woman who was murdered nearly 50 years ago has said she hopes the cold case will one day be solved.

Renee McGowan, 55, was divorced two years before her murder on July 23, 1975.

As she lived alone, she had done all she could to try and protect herself from intruders.

But someone still managed to get into her top-floor home at Evans Towers, off Manchester Road, and strangle the quiet, well-spoken woman.

West Yorkshire Police said officers "continue to review evidence in the case and investigate potential lines of enquiry".  

The comment came after the Telegraph & Argus was contacted by Nia Williams, whose mother's first cousin was Renee.

**Misplaced materials data**
********
1.
Material: KMn2O4
Method: DFT, GGA-PBEsol
State: relaxed Values from VASP.

Structure (Quantum ESPRESSO input):
```
&SYSTEM
  ibrav = 0, nat = 7, ntyp = 3
/
ATOMIC_SPECIES
K 39.10 K.upf
Mn 54.94 Mn.upf
O 16.00 O.upf
ATOMIC_POSITIONS crystal
K 0.000 0.000 0.000
Mn 0.000 0.500 0.500
Mn 0.500 0.000 0.500
O 0.220 0.000 0.662
O 0.279 0.500 0.336
O 0.721 0.500 0.664
O 0.780 0.000 0.338
CELL_PARAMETERS angstrom
4.840 0.000 0.000
0.000 2.880 0.000
-1.690 0.000 6.223
```

uncorrected energy = -7.6787 eV per atom
uncorrected formation energy = -1.728 eV/atom

=====

2.
Material: FeSiBiP2
Method: DFT, GGA-PBEsol
State: relaxed Values from VASP.

Structure (Quantum ESPRESSO input):
```
&SYSTEM
  ibrav = 0, nat = 5, ntyp = 4
/
ATOMIC_SPECIES
Fe 55.84 Fe.upf
Si 28.09 Si.upf
Bi 208.98 Bi.upf
P 30.97 P.upf
ATOMIC_POSITIONS crystal
Fe 0.000 0.000 0.000
Si 0.500 0.500 0.500
Bi 0.500 0.500 0.000
P 0.000 0.500 0.500
P 0.500 0.000 0.500
CELL_PARAMETERS angstrom
4.406 0.000 0.000
0.000 4.406 0.000
0.000 0.000 5.394
```

uncorrected energy = -5.0236 eV per atom
uncorrected formation energy = 1.092 eV/atom

~~~~~

Entry 1:
Compound: Ni2PdWN
Source: Alexandria via LeMat-Bulk
Functional: PBE
Structure: optimized geometry

The structure belongs to space group P4/mmm (No. 123); the cell edges are 3.881, 3.881 and 4.006 Å and the angles 90.00°, 90.00° and 90.00°. The asymmetric unit holds Ni at (0.000, 0.500, 0.000), Pd at (0.000, 0.000, 0.500), W at (0.500, 0.500, 0.500) and N at (0.500, 0.500, 0.000).

Its density of states at the Fermi level is 5.2 states/eV/cell. For the total energy, the calculation gives -38.088 eV/cell. The value obtained for the uncorrected formation energy is -0.01 eV per atom.

---

Entry 2:
Compound: NiPdWN2
Source: Alexandria via LeMat-Bulk
Functional: PBE
Structure: optimized geometry

The structure belongs to space group P4/mmm (No. 123); the cell edges are 3.690, 3.690 and 4.599 Å and the angles 90.00°, 90.00° and 90.00°. The asymmetric unit holds Ni at (0.000, 0.000, 0.000), Pd at (0.000, 0.000, 0.500), W at (0.500, 0.500, 0.500) and N at (0.000, 0.500, 0.000).

Its density of states at the Fermi level is 4.8 states/eV/cell. For the total energy, the calculation gives -32.074 eV/cell. The value obtained for the uncorrected formation energy is 1.70 eV per atom.

---

Entry 3:
Compound: ZnNi2PdN
Source: Alexandria via LeMat-Bulk
Functional: PBE
Structure: optimized geometry

The structure belongs to space group P4/mmm (No. 123); the cell edges are 3.729, 3.729 and 4.262 Å and the angles 90.00°, 90.00° and 90.00°. The asymmetric unit holds Zn at (0.000, 0.000, 0.000), Ni at (0.000, 0.500, 0.500), Pd at (0.500, 0.500, 0.000) and N at (0.500, 0.500, 0.500).

As for the energy above the most stable polymorph in this dataset: 0 meV/atom. Its density of states at the Fermi level is 3.3 states/eV/cell. For the total energy, the calculation gives -26.722 eV/cell. The value obtained for the uncorrected formation energy is -0.07 eV per atom.

---
********

Nia said: "What happened to Renee was horrible.

"Hopefully, with advances in DNA and other scientific investigative methods, it will be solved one day after so many years.

"This would be wonderful."

Bradford Telegraph and Argus: How the Telegraph & Argus reported the tragedy at the timeHow the Telegraph & Argus reported the tragedy at the time

Renee was found partly clothed and with her wrists tied behind her back in her 14th-floor flat by her fiance.

Nothing was apparently missing from the flat and there was no sign of forced entry.

Some drawers and cupboards were left open but property of any value and money was untouched.

Renee was frail and police admitted she would have been helpless to stop her killer because of a heart condition.

She was very careful about who she let into her flat, which had a tightly-bolted door and a spyhole, and even regular callers had to give a coded knock.

Detective Inspector Steve King, of West Yorkshire Police's Major Investigation Review Team, said: "As a victim-focused organisation our priority is to achieve justice for victims. We never close a case until it is solved.  

"Despite extensive enquiries over many years, the case of Renee McGowan remains unsolved. We continue to review evidence in the case and investigate potential lines of enquiry.  

"I would appeal to anyone with information about the murder of Renee McGowan in Bradford in 1975 to come forward."

Nia said she had been researching her family history and came across a Telegraph & Argus story from 2021 about Renee's murder.

Next to the article, the page also holds records of crystals
The following is a PBE calculation of a relaxed structure of PuRh2Au, from Alexandria via LeMat-Bulk.

Summary:
Electronic total energy, eV per atom: -8.50
Mass density, kg/m3: 15274
Energy relative to the elements, eV per atom: -0.417
Symmetry: P4/mmm, No. 123
Magnetization, μB/atom: 0.917
Crystal system: tetragonal
Calculated volume, Å³/cell: 70.3

Unit cell a=3.8176 b=4.2918 c=4.2918 alpha=90.00 beta=90.00 gamma=90.00
Element x y z (fractional)
1 Rh 0.0000 0.0000 0.5000
2 Rh 0.0000 0.5000 0.0000
3 Au 0.5000 0.5000 0.5000
4 Pu 0.5000 0.0000 0.0000

=====

The following is a PBE calculation of a relaxed structure of Pu4Rh2Au, from Alexandria via LeMat-Bulk.

Summary:
Electronic total energy, eV per atom: -11.02
Mass density, kg/m3: 16837
Energy relative to the elements, eV per atom: -0.258
Symmetry: R-3m, No. 166
Magnetization, μB/atom: 0.097
Crystal system: trigonal
Calculated volume, Å³/cell: 136.0
Energy above the lowest structure with this stoichiometry, meV per atom: 90.0

Unit cell a=4.7018 b=4.7018 c=7.6038 alpha=71.99 beta=71.99 gamma=60.00
Element x y z (fractional)
1 Pu 0.4333 0.4333 0.7000
2 Pu 0.2734 0.2734 0.1797
3 Pu 0.7266 0.7266 0.8203
4 Pu 0.5667 0.5667 0.3000
5 Rh 0.1388 0.1388 0.5837
6 Rh 0.8612 0.8612 0.4163
7 Au 0.0000 0.0000 0.0000

=====

The following is a PBE calculation of a relaxed structure of Pu3RhAu, from Alexandria via LeMat-Bulk.

Summary:
Electronic total energy, eV per atom: -10.93
Mass density, kg/m3: 15477
Energy relative to the elements, eV per atom: -0.208
Symmetry: C2/c, No. 15
Magnetization, μB/atom: 1.064
Crystal system: monoclinic
Calculated volume, Å³/cell: 442.8
Energy above the lowest structure with this stoichiometry, meV per atom: 20.8

Unit cell a=5.2962 b=9.4731 c=9.4731 alpha=109.67 beta=85.22 gamma=85.22
Element x y z (fractional)
1 Pu 0.6776 0.2193 0.0518
2 Pu 0.1776 0.0518 0.2193
3 Pu 0.8224 0.9482 0.7807
4 Pu 0.3224 0.7807 0.9482
5 Pu 0.0481 0.3133 0.5348
6 Pu 0.5481 0.5348 0.3133
7 Pu 0.4519 0.4652 0.6867
8 Pu 0.9519 0.6867 0.4652
9 Pu 0.7739 0.6043 0.0911
10 Pu 0.2739 0.0911 0.6043
11 Pu 0.7261 0.9089 0.3957
12 Pu 0.2261 0.3957 0.9089
13 Rh 0.2500 0.7610 0.2390
14 Rh 0.2500 0.0876 0.9124
15 Rh 0.7500 0.2390 0.7610
16 Rh 0.7500 0.9124 0.0876
17 Au 0.1032 0.3738 0.2174
18 Au 0.6032 0.2174 0.3738
19 Au 0.3968 0.7826 0.6262
20 Au 0.8968 0.6262 0.7826

=====

The following is a PBE calculation of a relaxed structure of Pu5RhAu4, from Alexandria via LeMat-Bulk.

Summary:
Electronic total energy, eV per atom: -9.11
Mass density, kg/m3: 15645
Energy relative to the elements, eV per atom: 0.101
Symmetry: P4/mmm, No. 123
Magnetization, μB/atom: 0.545
Crystal system: tetragonal
Calculated volume, Å³/cell: 224.0

Unit cell a=3.7619 b=3.7619 c=15.8305 alpha=90.00 beta=90.00 gamma=90.00
Element x y z (fractional)
1 Pu 0.5000 0.5000 0.0926
2 Pu 0.5000 0.5000 0.2979
3 Pu 0.5000 0.5000 0.5000
4 Pu 0.5000 0.5000 0.7021
5 Pu 0.5000 0.5000 0.9074
6 Rh 0.0000 0.0000 0.0000
7 Au 0.0000 0.0000 0.1937

She said: "I live in Wales and have not kept in contact with the Bradford side of the family since my grandmother Emily died.

"It would be nice to connect with family members if possible."

Any relatives of Renee who would like to connect with Nia can email Telegraph & Argus reporter Michael Broomhead via michael.broomhead@newsquest.co.uk